‘Pandamennial’ careers take a nosedive: Why the industry should help

By Adam Malik | May 5, 2021 | Last updated on October 2, 2024
3 min read

Global events have delayed the career development of young insurance professionals and the P&C industry needs to figure out how to help, risk manager execs said during the recent RIMS Live 2021 virtual conference.

[Misplaced data records]
# C5H11BrFNO7S2

A structure of composition C5H11BrFNO7S2 at a distorted geometry (ωB97M-V/def2-TZVPD, the Open Molecules 2025 dataset).

Gap between HOMO and LUMO, eV: 9.4
Spin multiplicity: 1
E_HOMO, eV: -10.59
LUMO energy, eV: -1.162
DFT total energy, eV: -115613.27275

Structure (XYZ):
```
28
C5H11BrFNO7S2 | the Open Molecules 2025 dataset | ωB97M-V/def2-TZVPD
O 2.401 1.533 -1.005
S 2.597 0.268 -1.631
O 1.389 -0.494 -1.698
C 3.777 -0.782 -0.727
N 4.862 -0.086 -0.035
Br 5.867 0.998 -1.186
S 4.360 0.698 1.379
O 3.025 0.381 1.648
O 5.265 0.443 2.413
F 4.451 2.205 1.029
H 3.043 0.431 -2.910
H 3.267 -1.435 -0.020
H 4.258 -1.430 -1.469
C -1.621 -0.233 -1.457
C -2.681 -1.249 -1.087
O -2.949 -1.234 0.324
C -3.765 -0.267 0.742
O -4.297 0.567 0.053
O -3.887 -0.374 2.070
C -4.694 0.642 2.666
H -0.728 -0.375 -0.855
H -1.354 -0.321 -2.510
H -1.974 0.783 -1.275
H -2.326 -2.253 -1.316
H -3.600 -1.094 -1.652
H -5.667 0.706 2.183
H -4.183 1.603 2.619
H -4.834 0.367 3.709
```

----------

1.
Here is C41H59CeN9O4PS as an isolated structure from OMol25. Energies are from ωB97M-V/def2-TZVPD.

Properties
spin multiplicity: 2
orbital gap (alpha / beta): 6.7 / 6.7 eV
net charge: +2
calculated total energy: -3605.9195 Eh

CARTESIAN COORDINATES (ANGSTROEM)
C 3.212 0.324 -0.404
C -2.376 -1.134 -4.052
H 2.593 2.323 -3.252
H 3.968 3.303 -2.753
C 1.718 -2.035 -3.761
H 1.996 3.997 1.310
H -1.464 1.586 -0.836
H 3.562 3.269 1.705
C 2.514 3.351 2.019
H -5.613 0.725 0.320
H 5.081 -0.338 -1.231
C 0.851 0.480 -4.362
C -0.686 2.398 -0.979
C -1.339 3.704 -1.451
H 3.821 0.390 -3.175
H -2.483 0.455 -7.036
H 1.003 -2.212 -4.556
N -5.162 0.755 1.218
C -2.970 -3.569 -1.803
H 3.548 -2.866 0.829
H -2.973 -0.264 -2.162
C -2.832 -0.108 -3.234
H -2.937 2.934 0.573
C 4.083 -2.303 2.816
H -4.042 -3.018 -4.468
S 1.373 -0.458 -2.877
H -4.477 -5.664 -1.011
C -3.177 -4.061 -0.446
C -3.052 1.318 -5.159
N -2.476 -3.421 0.503
H 2.720 -1.997 -4.174
H 2.783 -0.633 -0.731
N -2.114 -2.653 -2.088
H 0.237 -3.741 4.956
H 1.995 3.365 -1.152
C 3.180 -2.587 1.805
H -1.070 -2.686 5.538
O -3.628 -4.146 -2.802
N -0.990 -2.225 2.478
C 3.389 2.411 -2.512
H -1.865 -1.717 -6.048
H -0.271 -0.985 4.016
C -3.167 1.115 -3.795
P 1.100 1.360 0.700
C -1.672 -3.282 2.727
C -3.287 -5.048 2.086
C -3.925 0.252 1.343
C -0.122 -2.000 3.629
H 1.726 0.688 -4.968
H 0.118 -0.083 -4.928
H 1.898 -1.629 5.294
C 3.211 1.577 3.981
C 3.622 -1.975 4.080
H 3.420 0.224 0.672
H -3.265 -5.406 3.103
C -2.229 -0.916 -5.419
H 1.465 4.030 3.770
H -1.216 1.849 1.769
H -3.348 2.260 -5.591
C -0.916 2.841 1.358
H -2.399 -0.043 2.641
Ce -1.112 -1.124 -0.144
H 0.413 1.417 -4.030
C -3.952 -5.193 -0.197
H 4.363 3.360 4.335
H 3.570 2.976 -0.454
H -4.595 -6.570 1.323
C -1.766 4.546 -0.244
H 5.248 1.398 -3.000
H -2.596 5.202 -0.507
C 4.521 0.595 -1.153
H 1.057 1.646 3.927
H -3.785 0.741 3.345
H -5.678 1.146 1.987
H 5.143 -2.334 2.623
C -2.092 -2.524 -3.539
C 1.885 1.328 3.274
O -3.307 -0.223 0.368
C 2.496 3.946 3.422
N 2.203 1.370 -0.626
H 3.294 0.941 4.862
[The article goes on]

Colleen Zitt, chief risk officer at Zurich North America, referred to the affected group of young insurance pros as the ‘pandamennials’ — a combination of the words ‘pandemic’ and ‘Millennials.’  This cohort is facing stalled — and maybe even shrinking — career opportunities as a result of the COVID-19 pandemic, she said.

What’s more, we’re only a decade or so removed from the global financial recession that saw a number of companies take significant hits. So, depending on their age, a segment of the industry’s professionals may have missed out not only on career opportunities during the early stages of their careers, during the recession, but also now, due to COVID-19.

Companies have a responsibility to ensure Pandamennials don’t feel disillusionment, Zitt said during RIMS Live 2021.

“It’s really important to think about it from that business context of how we actually respond to what the youth are going through today, and going back to that sense of responsibility,” she said during the session Global Risks 2021: A Vision for the Future.


“I know this group is coming off of the lingering effects of the financial crisis from 2008. But at the same time, many are graduating from college and actually entering what’s called an employment Ice Age as the result of COVID with…[the] shuttering [of] businesses and loss of jobs.”

As a result, the typical starting points of a career don’t exist in the same way as they used to, Zitt added.

Jeffrey Bray, head of global risk management at Prologis, a real estate investment trust company, agreed with Zitt. Even for established or senior professionals, it’s a challenge to maintain the same level of emotional resilience on a day-to-day basis that is being expected of the younger workforce who are still trying to find their footing within the industry.

“That is much more challenging for the age group that you’re talking about,” he told Zitt.

Bray hoped the pandemic will build up the resiliency of younger insurance professionals. The theory is that if they can look back once the COVID-19 pandemic is over and realize they were able to make it through, they will know they can make it through any other challenges coming their way.

_Unrelated to this piece: data records_
+++
DFT (the ωB97M-V functional and the def2-TZVPD basis) results for a 2-piece molecular cluster, C20H20BF4N2 overall at a distorted geometry.

The geometry in XYZ format:
```
47
Properties=species:S:1:pos:R:3:forces:R:3
H 2.3763 -7.3678 8.5439 -0.078 0.290 -0.147
C 3.9276 0.6520 6.0339 -1.307 0.424 0.453
H 4.7902 -5.9623 8.8518 -0.087 0.132 0.189
B -0.0953 -0.5031 10.0606 -0.243 0.590 0.483
C 4.0656 -5.7846 9.6601 -0.034 0.001 0.578
C -1.6327 0.0520 6.3134 0.038 0.227 0.016
C 1.7568 -3.8437 10.6764 0.005 0.097 -0.622
H 2.1155 3.1920 7.4918 0.475 -0.104 0.104
C 1.6948 -3.3745 8.3074 -0.062 -0.058 0.218
C -1.3143 1.3285 6.8433 -1.551 -0.887 -0.198
H 1.9399 -3.5638 7.2675 0.079 -0.214 0.190
H 0.4387 0.0997 10.9645 -0.077 -0.065 -0.074
C 2.1158 -4.2385 9.3575 -0.304 0.467 -0.151
H 3.9587 -6.7227 10.2195 0.124 0.126 0.018
C 3.6302 1.8731 6.6549 1.012 0.828 -0.344
H 0.5899 -2.4499 11.8646 0.322 -0.035 -0.641
C 2.3437 2.2475 7.0070 -0.422 -0.335 0.667
H -0.8809 -0.7289 6.3404 -0.514 -0.043 -0.123
H -2.1287 3.2423 7.3670 -0.463 -0.072 -0.055
F 3.0658 -1.4756 5.3894 -0.242 1.642 -0.010
F -3.1674 -1.4508 5.3217 0.184 1.414 0.738
C 2.8314 -0.1777 5.7880 -0.017 -0.969 -0.204
H -4.9642 0.4403 5.6350 -0.076 0.050 0.107
H 3.0730 -6.3866 7.2317 -0.216 -0.039 0.109
H 4.4516 -5.0106 10.3239 -0.021 -0.054 -0.046
C -2.3751 2.2685 6.9512 0.488 -0.070 0.471
H 1.3662 -6.1416 7.7236 0.193 -0.063 0.063
H 0.7001 -0.3777 5.5795 0.398 -0.211 0.114
C -3.9751 0.6897 5.9897 0.733 0.176 0.082
F 4.6744 2.7395 6.8910 -1.438 -1.102 -0.270
H 0.0044 2.3948 8.1538 -0.008 0.226 -0.291
H 2.0278 -4.4503 11.5301 -0.051 -0.046 -0.078
C 0.9797 -2.7182 10.8699 0.102 0.605 -0.155
C 1.5156 0.2167 5.9678 -0.147 0.169 0.557
H -1.2689 -0.7187 10.2476 0.002 0.007 -0.067
N 0.6626 -1.8694 9.8551 0.339 -0.491 -0.741
F -4.6836 2.8355 6.7221 1.463 -1.129 -0.282
C 1.0278 -2.2041 8.5926 -0.138 -0.157 0.474
C 2.3748 -6.3664 8.0838 -0.130 0.315 -0.406
H 4.9147 0.3763 5.7225 0.395 -0.103 0.145
H 0.7668 -1.4737 7.8075 0.182 -0.561 0.640
H -0.0045 0.2230 9.0219 0.158 -0.252 -0.068
C -0.0159 1.6777 7.3352 -0.191 0.171 -0.271
N 2.7982 -5.3974 9.0806 0.020 -0.313 -0.101
C -3.6613 1.9269 6.5517 -0.774 0.787 0.056
C 1.2433 1.3804 6.7504 1.572 -0.474 -0.789
C -2.9255 -0.2186 5.8799 0.308 -0.897 -0.338
```
Forces are in eV/Å.

## Properties
energy above the lowest of the compared OMol25 structures with the same formula, charge and spin: 0.4773 eV
2S+1: 1
E: -35581.73793 eV
total charge: +1

----------

41
Properties=species:S:1:pos:R:3:mulliken_charge:R:1 method="wB97M-V/def2-TZVPD" energy_ev=-54001.07361 multiplicity=4 de_lowest_kcal_mol=240.0 homo_lumo_gap_ev="5.0 / 7.8" charge=+1
Ti 2.099 -1.452 0.017 0.900
Be 1.457 1.667 -1.284 0.643
Be 0.542 -1.401 -2.510 0.546
C 0.000 -0.161 -0.443 0.979
O 0.463 -1.305 -0.522 -1.045
O 0.695 0.545 0.242 -0.595
O -0.180 0.278 -1.637 -0.416
C 2.603 -0.331 -1.992 1.412
O 2.929 0.270 -0.969 -0.709
O 2.612 -1.582 -2.054 -0.687
O 1.830 0.258 -2.749 -0.582
C -1.346 -0.635 1.877 -0.808
+++
_So much for the data records_

“Because there are going to be new opportunities, I think it can be very exciting as well,” he said of their career prospects.

Young people do have some advantages: They have the knowledge and skills required of today’s insurance professionals; also, they are quick-learners. Those who “fell into” the insurance industry many years ago don’t have the same specialized skillset.

“What you need today is completely different [than 15-20 years ago],” Bray said. “I’m not sure I’d be up to a task today from a data analytics perspective and otherwise. I think that can be actually very exciting. I think our industry as a whole offers a lot of opportunities particularly as we see who’s retiring and that real gap there that we need to fill with talent.”


Feature image by iStock.com/courtneyk

Adam Malik